Halloween Coming Up.

Halloween is coming up, and Abby and I just worked out our costumes. We are going to do " The Little Red Riding Hood" story. Abby is going to be the wolf, and I will be the Little Red Riding Hood. We wanted to do something together, so we picked that one. It's a nice, cute story. 

I also want Ria to be the wolf but dressed as the grandma.😂That would be super funny! But I probably won't do that. 

I only need two things, so I bought this on Amazon for my costume:

I didn't want to get a red dress because my dad said it would be too red. Plus, it would look a lot better with a different dress. I actually love the dress that I got. It said it would be coming in on the 18th or 20th. So when I have everything for my costume I will make another blog post about it. 

Sophie is going to be Goldilocks. We bought her a yellow dress, and it's actually coming in today! So, hopefully, it will fit and look great! And that's all she needs for her costume. It's a super cute dress. Here it is:

Uncle Mark Staying With Us

Our other uncle, Mark, has been staying with us for about four days but will leave this Friday to go home. He lives in Florida and apparently loves to play pickleball! So far, we've played pickleball with him two times, including last night! He's super good at it and a lot of fun to play with. He will always go for the corners of the court if we aren't there. So I always have to remind myself about that part. And that's actually how he usually wins. I already can't wait to play with him again. 

It's also his first time meeting Ria. I was really hoping she would like him and not be afraid of him like Ezra. At first, Ria was skittish, but after five minutes, my uncle was giving her belly rubs! 😂 I guess she likes everyone except Ezra, which is sad unless she's just acting scared of him to get treats.

Uncle Mark also has a really nice rental car! It has a new car smell and super clean white seats. I forgot what type of car it was, but I only know that it is super nice, clean, drives smoothly, feels, and looks new. And has super cool wheels. Last night, we got to ride in it on the way to pickleball. It was amazing!

My uncle looks like my brother Gideon so much! It's crazy. Like they have the exact same face! So whenever I look at him I'm reminded of Gideon. 

I'm having a lot of fun with Uncle Mark! I'm going to be so sad when he has to leave.

Nicks New House!

About a month ago, my brother Nicholas bought a house in Cottonwood. He wanted to renovate it, so he is going to put in a couple of doors, take some walls down, redo the floors, and then paint everything. But so far, it's been going great! I'm also very surprised I haven't talked about it in another blog post yet, so I am sorry for that. 

My uncle David has been staying at our house for about two or three weeks already, working on Nick's house since he's a painter. I think he's leaving next week or something, which will be sad. But he's been painting a lot, and I think he might be done soon. I'm not sure yet. 

I can't wait to see what his house will look like after everything is done!! Right now, it looks like a tornado has happened. 😂 So I took a pic and video of what it looks like right now so I can compare it to when it's all done and beautiful! I just can't wait. 

He also has a beautiful green backyard with a big tree in the middle and rocks around it. The backyard also has a lot of different types of fruit trees growing, even some pomegranates. It's amazing because he can have a dog now because everything is fenced off. I'm really excited about that, too!😁I could even take Ria there for dog playdates with Nick's dog. Lol. 

Here are some pictures and a video of the house in progress:

I Got Into Chamber Choir!!

I am really happy that I was able to get into chamber choir! Here's how the choir went on Tuesday:

When I got there, I saw so many new choir kids who weren't there last Tuesday. I even saw my old choir friend Sophie Shearmen! The Garza girls were not there because they got sick, so I was afraid of not having anyone to talk to, but I was wrong, thankfully. I even made a new friend named Candice. She's super sweet and easy to talk to. We were sitting next to each other, and we were both nervous about auditioning for the chamber. But she said she had done this before, so she wasn't as nervous as I was. 

So after choir, we all used the restroom, and then it was time for the auditions! 

Candice and I are both sopranos, so we got to sit next to each other, which was nice. 

-- Here the entry breaks off for data records --
- - -
{
  "formula": "H7Na4O4",
  "method": "the ωB97M-V functional and the def2-TZVPD basis",
  "total_charge": 3,
  "gap_ha": 0.3776,
  "lumo_ha": -0.4144,
  "e_above_lowest_ev": 0.000,
  "symbols": ["Na", "Na", "Na", "Na", "O", "H", "O", "H", "H", "O", "H", "H", "O", "H", "H"],
  "xyz": [[2.4966, -0.5337, -1.7902], [-0.0914, 0.5295, -3.3078], [-0.4531, 1.8354, 0.6614], [1.8712, 3.2763, -1.1730], [0.9276, 1.2088, -1.2665], [0.2273, 0.6587, -0.8985], [1.4842, -2.3170, -0.2398], [0.7890, -2.0109, 0.3610], [2.0492, -2.8912, 0.2981], [-2.6149, 0.7385, -0.1438], [-2.7942, -0.1533, 0.1894], [-3.0512, 1.3157, 0.5020], [-0.2281, -0.4670, 1.8812], [-1.0418, -0.7430, 2.3315], [0.4296, -0.4468, 2.5948]],
  "atomic_forces_ev_per_a": [[0.32, -0.63, 0.71], [-0.55, 0.22, -0.40], [-0.50, -0.37, 0.63], [0.32, 0.27, -0.20], [-0.17, 0.04, -0.44], [0.25, -0.36, -0.08], [0.16, 0.73, -0.13], [0.09, -0.21, 0.06], [-0.11, -0.11, -0.15], [0.80, 0.28, 0.63], [-0.18, 0.06, -0.20], [-0.52, -0.15, -0.34], [0.04, 0.48, 0.02], [0.13, -0.10, -0.04], [-0.08, -0.14, -0.07]]
}

{
  "formula": "H7O3",
  "method": "the ωB97M-V functional and the def2-TZVPD basis",
  "gap_ha": [0.1317, 0.4620],
  "lumo_ha": [0.0077, 0.0026],
  "multiplicity": 2,
  "e_above_lowest_ev": 0.546,
  "symbols": ["O", "H", "H", "O", "H", "H", "O", "H", "H", "H"],
  "xyz": [[-0.1288, 1.9881, -0.0025], [0.1562, 2.3525, -0.8791], [0.5219, 2.5859, 0.5107], [-0.3613, -1.8065, -0.9096], [-0.6353, -2.7361, -0.5489], [0.1239, -2.0119, -1.7864], [-0.0945, -0.1564, 1.0104], [-0.2101, -0.8744, 0.3584], [0.6619, -0.1909, 1.6019], [-0.0339, 0.8495, 0.6451]],
  "atomic_forces_ev_per_a": [[1.18, 2.69, 0.20], [-0.41, -1.00, -0.27], [-0.77, -0.70, 0.24], [0.08, -3.32, -1.05], [0.67, 2.31, -1.06], [-0.97, 0.64, 2.04], [-0.90, 0.92, 1.60], [0.55, -0.42, -0.99], [0.99, -0.74, 0.59], [-0.44, -0.36, -1.30]]
}
- - -

Mrs.Dummer said that Candice and I would go first and echo her in her singing. I was super glad that we weren't going to sing by ourselves but as duos instead. So we sang a bit, and then Mrs.Dummer had everybody else do the same thing. Then she had us sing Amazing Grace all together while she and Mrs.Brown ( also another music teacher ) went around the room listening to our voices. It was honestly nerve-racking because it felt like we were in the army as they kept walking back and forth between us. 😂 And Mrs.Dummer had a yellow piece of paper scoring our singing. 

Then, it was time to go home. She told us that she would text us who would be making it in the chamber choir. And I just found out yesterday that I will be making it!!! I honestly thought I wouldn't make it in because there were a lot more better singers. But I guess I did! I am super happy about it because I think Candice also made it in!! It said on the piece of paper that Candice Moore is doing chamber choir, so I hope her last name is Moore. I will ask her on Tuesday if it is. 

But yeah, I am just so happy and excited about it!

My First Day of Choir! (Sept 3rd 2024)

I had my first day of choir last Tuesday, September 3rd! I was really nervous and excited about it because I wanted to audition for the chamber choir, and I wasn't sure if she wanted us to audition that very day or not. So yeah, I was terrified. 

My mom and I went to Starbucks, a thrift store, and then choir. We had to check me in at a couple of the tables, and then I was all set to be in the choir. I had about fifteen minutes to kill, so I saw the Garza girls, and we ran to the park and back. (The park is right next to the building.) 

Then, it was time for the choir to begin. 

It was actually a lot of fun! She didn't have us audition that day, but since so many kids wanted to audition for the chamber choir, she told us to send her a video of us singing either "Amazing Grace" or " My Country Tis Of Thee." And then, the following Tuesday, she will have some of us audition face-to-face. I haven't sent her a video yet, but I will today. We just have to get the video in by Saturday. And today is Friday. So I am already scared about next Tuesday. I honestly won't be sad if I don't get the part because then I won't have to audition face-to-face. I think......👀

Most of the time, Mrs.Dummer was explaining the rules and other things about the choir, so technically, next Tuesday should be our actual choir rehearsal. But we did sing a bit too at the end. We did a two-part harmony on doxology, which was really nice. And two other songs. 

It's weird; for some reason, whenever I'm at Costco with my mom, I always see choir people—like almost every time! Costco has become my favorite place to be because there's always someone I know there, the delicious samples, the size, and the big food court. I also like the dollar store. I just realized I am getting very distracted by talking about different stores. 😂

Well, anyway, I'll make another blog post about how the auditions went. 
